Recent content by onona

  1. onona

    Live music: Wednesday 13 gig at Koko

    Yeah, but monthly magazines wouldn't require that, surely? I'd never shoot for a newspaper or wires as this isn't something I have any desire to do full time. It's currently something I do in my evenings, although I am booked to shoot some festivals next year, which I know is going to be really...
  2. onona

    Live music: Wednesday 13 gig at Koko

    Thanks Steve! To be honest, the way I got into this was a total stroke of luck. I'd shot about three gigs and really wanted to get more into it, when I came across someone on Facebook who runs a heavy metal site saying her photographer for a gig (NY hardcore band Agnostic Front) that week had...
  3. onona

    Live music: Wednesday 13 gig at Koko

    That's very useful information, Adam, thanks a lot. I hadn't really considered stuff like cropping and whatnot, and wasn't thinking in terms of that when looking at magazines and comparing my work to it, as I was focusing only on quality in terms of sharpness, colour, etc, while overlooking...
  4. onona

    Live music: Wednesday 13 gig at Koko

    I was hoping to get a bit more feedback... Perhaps I should be a little more direct: I currently shoot for a website but am considering branching into sending my portfolio to magazines. But I'm not sure if my photos are good enough yet. Does anyone have any views on that? Are these the sorts of...
  5. onona

    First live rock show

    Snowy has always been a ladies man, heh. Nice shots. Too many to comment on individually, but if I did have to give one minor piece of critique, it'd be that there's some of them (like the second last one above) could do with a little more contrast.
  6. onona

    Coffee Machines

    I'm lazy so I bought a Nespresso machine and I love it. Since I don't really drink a hell of a lot of coffee, and live alone, it's a waste to buy bags of beans, as I can't get through all of them before the beans get stale. So the Nespresso machine was a better option.
  7. onona

    Why do people do this?

    The world is full of pricks.
  8. onona

    "Purist" Used As an Insult

    I don't think that when people use the term "purist" perjoratively, they're talking about people who simply prefer doing things in-camera. I think it's more about people that not only do everything in-camera, but also smugly dictate that their approach is the only valid one and that everything...
  9. onona

    new website for inspiration

    This was one of the first sites I ever started visiting for inspiration. Their standards are really high although there's a clear bias towards certain styles and looks. Still, a really good site, along with 500px.
  10. onona

    I never knew that

    Technically speaking, the moment you paste it into Photoshop, it's been saved somewhere in your computer's cache ;-)
  11. onona

    Concert Photography

    Depending on the size of the venue, you may find your 50mm and 85mm lenses are the most suitable. You only really need a 70-200mm if you're shooting an arena show, and even then, it's not absolutely necessary to have such a long focal length. Plus, those two primes mentioned are fast, which you...
  12. onona

    Mental Illness and Photography

    FFS. I am not talking about "non clinical depression". You keep saying I don't need to repeat myself, but despite repeating myself, you're still not getting it. You have still CLEARLY not bothered to read the original post I was responding to. So here it is against quoted just for your...
  13. onona

    Mental Illness and Photography

Molecular data from another source follow:
-- begin --
1.
Entry from the OMol25 dataset: an isolated molecule of C4H7NOS2 in a non-equilibrium geometry (ωB97M-V with the def2-TZVPD basis set).

SMILES: CN(C=S)C(=S)CO
E_HOMO: -9.10 eV
charge: 0
HOMO-LUMO gap: 8.09 eV
energy above the lowest of the compared OMol25 structures with the same formula, charge and spin: 32.1 kcal per mole

Last column: Mulliken charge in e.
Geometry (Å):
C -0.04119 2.05532 0.14282  -1.097
C 1.75217 0.42064 0.05477  0.078
C -0.67300 -0.27580 -0.05927  0.468
C -0.35484 -1.77154 0.00535  -0.580
H -0.83440 2.13290 0.90975  0.375
H -0.41464 2.38069 -0.82840  0.369
H 0.83707 2.63508 0.41058  0.329
H 2.29093 1.34872 0.24282  0.213
H 0.33417 -1.95795 0.83850  0.323
H 0.10441 -2.06306 -0.94346  0.328
H -2.17171 -2.22463 -0.33466  0.298
N 0.37941 0.62219 -0.02986  0.006
O -1.48545 -2.60154 0.24499  -0.489
S 2.52039 -0.95591 -0.29637  -0.286
S -2.24333 0.25489 -0.35757  -0.335



2.
Entry from the OMol25 dataset: a cluster of 2 separate species, C4H12N2O in total in a non-equilibrium geometry (ωB97M-V with the def2-TZVPD basis set).

SMILES: [H]/N=C\NCCC.O
E_HOMO: -8.84 eV
charge: 0
HOMO-LUMO gap: 9.77 eV
energy above the lowest of the compared OMol25 structures with the same formula, charge and spin: 45.1 kcal per mole

Last column: Mulliken charge in e.
Geometry (Å):
C -0.41917 -2.74269 1.66420  -1.232
C -0.72452 -1.56704 0.72366  -0.166
C 0.13495 -0.36037 1.22636  -0.968
N 0.16489 0.76613 0.33979  -0.241
C 1.32314 0.96869 -0.38976  0.236
N 1.52853 1.91125 -1.22206  -0.805
H -0.06847 -2.49284 2.66851  0.324
H 0.31765 -3.40790 1.19979  0.329
H -1.21859 -3.49554 1.73449  0.349
H -0.39137 -1.86622 -0.27283  0.272
H -1.76041 -1.29685 0.92380  0.306
H 1.09729 -0.86225 1.34643  0.397
H -0.15560 -0.08679 2.25823  0.260
H -0.66867 0.96605 -0.20118  0.354
H 2.19973 0.49932 0.05551  0.336
H 0.93998 2.73760 -1.19312  0.293
H -1.69384 0.65834 -2.71411  0.307
H -0.58616 1.72942 -2.18512  0.352
O -1.43778 1.31204 -2.05443  -0.704



3.
Entry from the OMol25 dataset: a cluster of 2 separate species, C4H14NOS2 in total in a non-equilibrium geometry (ωB97M-V with the def2-TZVPD basis set).

E_HOMO: -12.36 eV
charge: +1
HOMO-LUMO gap: 9.09 eV
energy above the lowest of the compared OMol25 structures with the same formula, charge and spin: 19.7 kcal per mole

Last column: Mulliken charge in e.
Geometry (Å):
N -0.71722 -0.18006 2.46015  -0.171
C 0.02102 -1.43481 2.07364  -0.510
C 0.42516 -1.45834 0.61550  -0.710
S 0.99687 0.21538 0.09149  -0.117
S -0.17485 0.62191 -1.56705  -0.041
C 0.90896 0.54295 -2.97292  -0.501
C 1.17294 -0.81702 -3.56479  -0.906
H -1.66020 -0.39291 2.75355  0.378
H -0.26306 0.41316 3.14965  0.324
H -0.73942 0.39408 1.59450  0.160
H -0.50770 -2.28978 2.49937  0.395
H 0.91495 -1.51938 2.69064  0.307
H -0.42749 -1.66058 -0.02238  0.406
H 1.27341 -2.10047 0.44801  0.404
H 0.39869 1.21544 -3.63424  0.367
H 1.81349 1.11721 -2.86137  0.383
H 2.14526 -0.94329 -4.06237  0.326
H 0.57135 -1.05779 -4.44350  0.286
-- stop --

    Huh? You're contradicting yourself; we are not talking about people saying they're feeling a bit blue, we are talking about depression. Two different things. But by all means, if you think that depression being an illness is just "my" opinion, then so be it. Just be aware though that not only...
  14. onona

    sick days

    Errr.... Sickness is spread easily around offices. It's got nothing to do with my immune system or personal space requirements - if one person gets sick in an office, lots of people end up getting sick too. That's a fact.
  15. onona

    sick days

    Yup, everywhere I work is always air conditioned on account of the fact that the work I do is done on very powerful computers, and there is usually a lot of us in each room, generally with two computers each. Without air conditioning, the offices would be rather jungle-like.